One year ago, I was among the first class of Fellows for the first-ever How I Built This Summit with Guy Raz from NPR. At that time, CurvedWear was just an idea that I’d had in my head for several years.
This week, CurvedWear is officially more than an idea! After a year of business planning, examining hundreds of fabric samples, hiring the right designer, and finding an ethical, local manufacturer, I finally received the first sample pair of the CurvedWear Classic pants.

It’s been an exciting and challenging year. When I started, I knew very little about the apparel industry. On my first visit to a fabric show, I didn’t know where to start. All I knew was that we curvy women deserved to have the same options as others for the perfect pants for hiking, camping, sightseeing, or other outdoor activities with technical features such as moisture-wicking, quick-drying, naturally antimicrobial, wrinkle-resistant material that is soft and stretchy with big, functional pockets. I felt like the entire industry was treating us curvy gals like second-class citizens who didn’t deserve to have the same options as women who were shaped like traditional models.
To me, it was more than an inconvenience that we didn’t have options and had to either stick to leggings or buy men’s pants. To me, it was an equity issue in a longer history of the fashion industry looking down on curvy and plus-size women. As someone who has long worked in the area of women’s rights and equality, this hit me hard and made me even more passionate about creating CurvedWear.
• Misplaced data records:
[1]
Below is Sr2TmReO6 after structural relaxation, with properties calculated at the PBE level.

Lattice parameters (Å, degrees): 8.2844 8.2844 8.2844 90.00 90.00 90.00
Space group Fm-3m (No. 225)
Symmetry-distinct sites (fractional):
Sr: 0.2500 0.2500 0.2500 [8 per cell]
Tm: 0.0000 0.0000 0.0000 [4 per cell]
Re: 0.0000 0.0000 0.5000 [4 per cell]
O: 0.0000 0.0000 0.2620 [24 per cell]

Results
Formation enthalpy at 0 K ... -3050.3 meV per atom
ρ ... 7.3 g/cm³
Total moment ... 8.00 μB per cell

[2]
Below is Sr2YReO6 after structural relaxation, with properties calculated at the PBE level.

Lattice parameters (Å, degrees): 8.3563 8.3563 8.3563 90.00 90.00 90.00
Space group Fm-3m (No. 225)
Symmetry-distinct sites (fractional):
Sr: 0.2500 0.2500 0.2500 [8 per cell]
Y: 0.0000 0.0000 0.0000 [4 per cell]
Re: 0.0000 0.0000 0.5000 [4 per cell]
O: 0.0000 0.0000 0.2643 [24 per cell]

Results
Formation enthalpy at 0 K ... -2994.2 meV per atom
ρ ... 6.2 g/cm³
Total moment ... 8.00 μB per cell

[3]
Below is Tb3ReO7 after structural relaxation, with properties calculated at the PBE level.

Lattice parameters (Å, degrees): 10.6147 7.4436 7.4654 90.00 90.00 90.00
Space group Cmcm (No. 63)
Symmetry-distinct sites (fractional):
Tb: 0.0000 0.0000 0.0000 [4 per cell]
Tb: 0.2323 0.2872 0.2500 [8 per cell]
Re: 0.0000 0.5000 0.0000 [4 per cell]
O: 0.0000 0.4502 0.2500 [4 per cell]
O: 0.1268 0.3036 0.5289 [16 per cell]
O: 0.1335 0.0213 0.2500 [8 per cell]

Results
Formation enthalpy at 0 K ... -3345.4 meV per atom
ρ ... 8.7 g/cm³
Total moment ... 6.45 μB per cell

[4]
Below is Tb5Re2O12 after structural relaxation, with properties calculated at the PBE level.

Lattice parameters (Å, degrees): 12.5217 5.6984 7.6089 90.00 107.95 90.00
Space group C2/m (No. 12)
Symmetry-distinct sites (fractional):
Tb: 0.0000 0.0000 0.0000 [2 per cell]
Tb: 0.1861 0.5000 0.3261 [4 per cell]
Tb: 0.1961 0.5000 0.8595 [4 per cell]
Re: 0.0000 0.2146 0.5000 [4 per cell]
O: 0.0001 0.0000 0.2943 [4 per cell]
O: 0.0006 0.5000 0.6760 [4 per cell]
O: 0.1538 0.2524 0.0750 [8 per cell]
O: 0.1646 0.2537 0.5856 [8 per cell]

Results
Formation enthalpy at 0 K ... -3346.3 meV per atom
ρ ... 8.7 g/cm³

[5]
Below is ReTeO3 after structural relaxation, with properties calculated at the PBE level.

Lattice parameters (Å, degrees): 4.0055 4.0055 4.0055 90.00 90.00 90.00
Space group Pm-3m (No. 221)
Symmetry-distinct sites (fractional):
Re: 0.0000 0.0000 0.0000 [1 per cell]
Te: 0.5000 0.5000 0.5000 [1 per cell]
O: 0.0000 0.0000 0.5000 [3 per cell]

Results
Formation enthalpy at 0 K ... -913.7 meV per atom
ρ ... 9.3 g/cm³
Total moment ... 0.10 μB per cell

[6]
Below is TlReO4 after structural relaxation, with properties calculated at the PBE level.

Lattice parameters (Å, degrees): 17.8303 13.5804 5.8367 90.00 90.60 90.00
Space group P2_1/c (No. 14)
Symmetry-distinct sites (fractional):
Tl: 0.0799 0.1291 0.4793 [4 per cell]
Moreover, I was disappointed because I knew that comfortable, stylish, functional pants were possible, but that the industry was actively choosing to ignore us. It was a no-brainer for me to learn all I could to design the perfect pair of technical pants so that we curvy gals could play outside in comfort, style, AND function too.
Today, I’m beyond excited to test the sample pants and provide feedback to the manufacturer for the next iteration. Soon, they’ll be perfect and ready to go!

And the timing is also perfect because I’m getting our iFundWomen crowdfunding page ready to launch soon! I won’t be able to bring CurvedWear to life without your help, so make sure you keep an eye out for it.
You may be wondering how you can help CurvedWear get off the ground. Here are some things you can do:
The text is interrupted by records of crystals.
/*
Na14Ga4Si9Ge4S3O48: relaxed, PBE-GGA.

Structure (POSCAR):
```
Na14Ga4Si9Ge4S3O48
1.0
8.8331 0.0000 0.0000
0.0169 15.2892 0.0000
0.0366 0.2846 21.8405
Na Ga Si Ge S O
42 12 27 12 9 144
direct
0.0000 0.0000 0.0000
0.0004 0.3339 0.3358
0.0420 0.6519 0.3350
0.0434 0.3493 0.6691
0.0444 0.6832 0.0031
0.0501 0.3185 0.0042
0.0539 0.9804 0.6717
0.1693 0.4823 0.1687
0.1750 0.8188 0.5063
0.1793 0.1801 0.5062
0.1816 0.8489 0.1669
0.1829 0.1495 0.8362
0.2241 0.5020 0.5042
0.2269 0.8343 0.8364
0.2351 0.1700 0.1663
0.3590 0.3317 0.0831
0.3625 0.6662 0.9192
0.3641 0.9996 0.7546
0.3650 0.0023 0.2546
0.3660 0.6664 0.4212
0.3680 0.3291 0.5879
0.4867 0.1683 0.6690
0.4940 0.4997 0.9998
0.5036 0.8359 0.3388
0.5430 0.1483 0.3352
0.5431 0.1883 0.0034
0.5442 0.8488 0.6714
0.5506 0.4838 0.6753
0.6708 0.9822 0.1728
0.6800 0.6893 0.5060
0.6806 0.6523 0.8360
0.6817 0.3493 0.1655
0.7197 0.3360 0.8387
0.7302 0.9988 0.5020
0.7369 0.6685 0.1667
0.8568 0.8286 0.0841
0.8579 0.1649 0.9201
0.8594 0.5040 0.7557
0.8634 0.5029 0.2521
0.8640 0.1629 0.4214
0.8650 0.8315 0.5865
0.9891 0.6723 0.6701
0.3454 0.3252 0.2355
0.3485 0.0000 0.6025
0.3576 0.6828 0.5695
0.3664 0.0003 0.1023
0.3765 0.3364 0.9411
0.3811 0.3257 0.7370
0.8425 0.8240 0.2368
0.8479 0.8369 0.4418
0.8598 0.5018 0.6060
0.8652 0.8268 0.7399
0.8658 0.1819 0.0666
0.8748 0.5011 0.1002
0.0006 0.3596 0.5031
0.0048 0.3132 0.1718
0.0113 0.6468 0.5052
0.0135 0.6819 0.8368
0.0699 0.0007 0.5031
0.0757 0.6688 0.1707
0.1485 0.1688 0.6705
0.1543 0.5008 0.0031
0.2111 0.1820 0.3370
0.2144 0.8139 0.6723
0.2163 0.1439 0.0031
0.2157 0.8597 0.0028
0.2263 0.4788 0.3365
0.5026 0.8103 0.1689
0.5038 0.4803 0.8361
0.5038 0.8588 0.5038
0.5114 0.1508 0.5046
0.5120 0.1842 0.8384
0.5736 0.1682 0.1701
0.5785 0.8403 0.8372
0.6504 0.6677 0.6694
0.7111 0.6827 0.3389
0.7133 0.6508 0.0055
0.7198 0.3592 0.0037
0.7204 0.9805 0.3360
0.7212 0.3101 0.6691
0.9970 0.9791 0.8363
0.3401 0.3290 0.4385
0.3491 0.9984 0.8961
0.3590 0.6797 0.0606
0.3641 0.6647 0.2722
0.3691 0.0093 0.4068
0.3756 0.6744 0.7789
0.8540 0.5099 0.9061
0.8596 0.1640 0.7728
0.8631 0.1626 0.2717
0.8642 0.1779 0.5624
0.8695 0.8266 0.9340
0.8830 0.5060 0.4019
0.0050 0.0223 0.1703
0.0727 0.3363 0.8361
0.1516 0.8364 0.3361
0.2188 0.5229 0.6706
0.5053 0.5229 0.1708
0.5730 0.4970 0.5018
0.6484 0.3373 0.3374
0.6523 0.9982 0.0028
0.7188 0.0243 0.6694
0.0256 0.1807 0.3287
0.0283 0.8482 0.9962
0.0295 0.1487 0.0091
0.0305 0.8259 0.6770
0.0364 0.4869 0.3430
0.0391 0.1488 0.7310
0.0390 0.5237 0.9460
0.0407 0.1866 0.6095
0.0506 0.5135 0.6664
0.0602 0.8183 0.3907
0.0603 0.8484 0.2798
0.0611 0.4786 0.0658
0.1637 0.3183 0.8908
0.1639 0.3483 0.7797
0.1649 0.9795 0.5647
0.1724 0.0144 0.1677
0.1839 0.0246 0.4450
0.1839 0.6482 0.2320
0.1852 0.6861 0.1107
0.1845 0.9902 0.8423
0.1893 0.3248 0.1755
0.1902 0.3492 0.4967
0.1969 0.6499 0.5094
0.1976 0.6789 0.8289
0.2255 0.7527 0.6115
0.2307 0.2490 0.3959
0.2331 0.9176 0.0646
0.2424 0.5788 0.7239
0.2432 0.0800 0.9438
0.2447 0.4177 0.2772
0.2492 0.2590 0.6760
*/
Share this on Facebook, Twitter, and Instagram, and remember to use the hashtag #CurvyGals
If you know any bloggers, journalists, etc., please send them my way so CurvedWear can get some needed PR as we prepare to launch
If there’s another way that you can think of or any connections that might be beneficial, please reach out and let us know
